As EU, US unveil biting new sanctions, Russia ready to soldier on
| Moscow
Moscow is bracing for a new round of sanctions from the European Union and the US, which for the first time will strike at key Russian businesses like finance, energy, and arms. Some Western commentary suggests that these measures will hit Russia hard, and possibly undermine President Vladimir Putin's power base.
But most Russian experts are not so sure.
# Molecular data from another source follow
<<<
A molecular structure, C50H105N5O15, computed with ωB97M-V/def2-TZVPD.

Output
E_LUMO in eV: -0.653
F_max in Eh/bohr: 0.1397
Charge: 0
Multiplicity: 1
Relative energy (zero: lowest compared OMol25 entry of this formula, charge and spin) in eV: 0.0000

CARTESIAN COORDINATES (ANGSTROEM)
O  1.2236  -1.9615  4.8364
O  2.7170  -1.8956  6.4877
O  2.5476  -3.5971  5.0854
O  0.5810  0.6689  0.2712
O  4.9747  0.9842  -5.5952
O  -1.0515  -0.7133  -0.4412
O  5.2281  2.5781  1.7602
O  3.4674  1.8539  2.7290
O  4.5246  3.5049  3.6000
O  -5.6773  -2.4589  3.0803
O  4.8807  2.6465  -4.0509
O  -3.5204  -1.9295  3.0323
O  3.1885  2.0444  -4.9258
O  -4.1976  -3.8938  2.5208
O  -0.1726  0.7402  -1.7706
N  -4.8768  0.3204  -1.4536
N  1.2819  1.7924  6.4457
N  -1.0007  -5.2512  0.3774
N  2.0733  -1.9724  -5.0429
N  2.4312  3.9654  -1.3446
C  -6.3240  0.1497  -1.9740
C  0.2658  -0.1348  -5.6628
C  -0.9111  -1.0774  -5.3927
C  -4.9955  2.9630  -1.1148
C  3.3824  -1.5156  -1.2935
C  -4.5511  -0.8135  -0.4593
C  0.1146  -6.1154  -0.2046
C  3.4501  6.2484  -2.1444
C  2.2536  -2.4916  5.4759
C  3.5439  2.8123  7.2242
C  2.8134  1.9521  6.1614
C  -2.2905  -6.0983  0.5191
C  0.8143  3.5054  -3.2960
C  0.8445  -2.8842  -4.8850
C  -6.0753  -2.4363  -1.6115
C  3.2397  -2.7540  -5.6128
C  -1.5571  -7.5231  -1.5838
C  -3.8867  0.4047  -2.6672
C  -1.2695  -4.0902  -0.5919
C  0.7797  -4.1189  1.9555
C  -6.5100  -1.2815  -2.5273
C  1.3915  4.1271  7.7540
C  0.9431  -2.6560  1.4239
C  4.4184  2.7020  2.6952
C  4.4057  1.8470  -4.9207
C  -4.6179  -2.1584  -1.1615
C  -4.6962  1.5859  -0.5428
C  -2.6577  -6.7793  -0.8573
C  -4.5021  -2.7700  2.8290
C  3.4762  6.7907  -0.6523
C  -0.2239  0.2361  -0.6453
C  -0.2945  -6.7218  -1.6525
C  -0.7581  0.7825  5.2258
C  0.5781  3.1579  6.8138
C  2.5518  4.5766  0.1154
C  0.6894  1.3180  5.0849
C  2.4303  6.1070  0.1736
C  2.9691  2.5557  -1.3373
C  -1.4467  0.8756  3.9207
C  1.6108  -0.8401  -6.0814
C  1.0949  0.8182  7.7463
C  -0.4688  -2.2916  -4.5538
C  2.9990  -2.0889  -2.5897
C  -0.6680  3.3583  -3.6987
C  2.9275  4.1789  7.3115
C  -5.1581  4.0208  -0.0331
C  3.4872  4.7514  -2.2348
C  -0.6157  -4.7416  1.7870
C  0.9944  4.0413  -1.8734
C  2.4633  -1.2285  -3.7115
H  -2.8325  0.3241  -2.4020
H  -2.0890  -6.9534  1.1643
H  -0.5500  -0.2711  5.4122
H  -0.7812  2.6398  -4.5106
H  1.4428  -2.5776  4.1336
H  3.0920  -2.9403  -6.6765
H  -1.1930  2.8375  -2.8979
H  4.5781  2.7260  6.8912
H  3.3460  -3.6202  -4.9597
H  0.0684  0.5153  7.9528
H  2.4966  6.5355  -2.5876
H  -6.0090  3.8201  0.6178
H  -1.4222  -4.1109  2.1611
H  -2.1512  0.0439  3.9116
H  -5.1979  1.4080  0.4084
H  3.8875  1.2948  2.0713
H  2.2670  -2.8668  -2.3725
H  1.4511  6.4641  -0.1454
H  2.9687  4.7310  6.3725
H  -1.8169  -7.6461  -2.6353
H  0.0224  0.6373  -6.3927
H  -1.3360  1.2718  6.0098
H  1.3120  3.8058  8.7926
H  3.0655  2.1577  -2.3475
H  -3.2544  -6.0899  -1.4545
H  1.0364  -5.5377  -0.2734
H  3.2225  0.9420  6.1801
H  -4.1012  -0.3875  -3.3845
>>>
They argue that the direct economic consequences will prove manageable – though the deeper effects of isolation for Russia, after two decades of integrating with the global economy, may be harder to predict. As for political impact, they say, if the goal of sanctions is to turn Russians against their hyper-popular president, or force Moscow to accept the Western agenda for Ukraine, a very long wait might be in store.
So far Russia's official response to the tough new measures is to warn the West that there will be painful blowback on US and European business interests for any harm done to Russia. The Kremlin is also insisting that the Western economic offensive will prompt Russians to rally round their leaders.
But behind that public front, Russian business leaders acknowledge that the new sanctions will bite more deeply than the previous waves, which punished only selected individuals and companies. The new round "will obviously have a considerable adverse effect on GDP growth," says Andrei Klepach, deputy chairman of the state-owned external trade bank, Vneshekonombank.
Economists say the new sanctions will hurt Russian state banks and leading companies by blocking their access to Western capital markets. At the very least, that will drive up the cost of borrowing, make it difficult for them to roll over their debts – the Russian private sector owes over $700 billion to foreign investors – and to obtain financing for new projects. Last weekend, Russia's Central Bank raised its interest rate to a whopping 8 percent, a preemptive move designed to bolster the ruble, but one that will jack up costs throughout Russia's consumer economy.
=====
1.
C20H60O10 | ωB97M-V with the def2-TZVPD basis set

Results
ΔE to the lowest compared entry with this formula, charge and spin, kJ/mol: 284.04
F_max, eV Å⁻¹: 3.26
Spin multiplicity: 1
Energy, a.u.: -1550.2281
Orbital gap, eV: 10.08
Lowest unoccupied orbital energy, eV: 0.501
SMILES: CCO.CCO.CCO.CCO.CCO.CCO.CCO.CCO.CCO.CCO

XYZ file:
```
90
Properties=species:S:1:pos:R:3:forces:R:3:mulliken_charge:R:1
C -0.46828 0.14367 1.28019 -0.60 -1.11 1.35 -0.30
C -0.18559 1.05816 0.14913 0.22 1.24 0.50 0.19
O 0.87503 0.60010 -0.64363 0.59 -1.50 -1.05 -0.13
H 0.36919 -0.12254 1.92508 0.44 -0.08 -0.42 -0.16
H -0.94301 -0.74984 0.87476 0.42 -0.41 -0.02 -0.36
H -1.21529 0.42628 2.02194 -0.23 0.84 -0.28 0.55
H 0.16687 2.05249 0.42333 -0.97 0.34 0.50 0.24
H -1.11320 1.09020 -0.42239 0.23 0.42 -0.47 -0.13
H 1.69255 1.02577 -0.37519 -0.02 -0.03 0.17 -0.03
C -3.96097 -4.52468 -0.79386 -0.19 -0.05 1.11 -0.69
C -2.50626 -4.55389 -0.27707 -1.26 -1.74 -2.45 -0.32
O -2.06469 -3.24624 -0.21420 0.47 1.10 1.11 -0.14
H -4.40168 -3.66188 -0.29443 -0.10 0.21 -0.33 -0.20
H -4.60314 -5.32862 -0.43411 0.38 -0.40 -0.06 0.35
H -4.09429 -4.44217 -1.87253 0.38 0.16 0.13 0.30
H -1.85751 -4.91764 -1.07388 -0.18 -1.19 -0.02 0.41
H -2.34105 -5.16025 0.61351 -0.21 0.34 0.32 0.30
H -1.11755 -3.39306 -0.15977 0.96 1.31 -0.07 -0.07
C 4.31675 2.49708 -2.09408 -0.54 -0.75 -0.83 -0.76
C 5.32328 3.61494 -2.21935 -1.12 -0.30 -2.38 -0.40
O 6.13031 3.69559 -1.13403 1.05 0.20 2.60 -0.51
H 3.62075 2.59246 -1.26067 0.56 -0.18 0.54 -0.02
H 4.77599 1.51846 -2.23371 0.27 -0.14 1.04 0.37
H 3.61124 2.41483 -2.92087 0.08 0.87 -0.51 0.41
H 4.77494 4.52897 -2.44735 0.01 0.40 0.18 0.28
H 5.98762 3.42135 -3.06153 -0.35 -0.13 -0.67 0.30
H 6.83681 4.32240 -1.30600 -0.01 0.00 0.07 0.31
C -3.66244 0.10640 -3.65503 -1.00 -0.27 0.05 -1.46
C -3.56360 -0.62403 -2.34994 1.89 0.79 1.52 0.92
O -2.80140 -1.81404 -2.35971 -1.00 -0.29 -1.45 -0.53
H -2.78854 0.07048 -4.30549 -0.02 0.02 0.24 0.32
H -3.91032 1.11531 -3.32523 0.21 0.32 -0.50 0.35
H -4.55872 -0.25378 -4.16005 0.22 -0.04 -0.55 0.42
H -4.53950 -0.59911 -1.86506 -0.43 -0.97 -0.12 0.20
H -2.98845 0.01215 -1.67721 0.12 0.65 0.22 -0.40
H -2.65619 -2.16718 -1.47890 0.03 -0.02 0.26 0.36
C 4.05164 -0.40259 1.18808 0.53 -0.62 -0.48 -0.51
C 3.70900 0.22839 2.52742 0.98 -1.68 -0.88 -0.47
O 3.13359 1.45898 2.31068 -1.59 1.64 -0.04 -0.36
H 4.58801 -1.35145 1.17909 0.31 -0.10 0.82 0.42
H 4.70777 0.25927 0.62279 -0.40 0.18 -0.40 0.28
H 3.14184 -0.71768 0.67712 -0.18 0.75 -0.38 -0.19
H 4.61096 0.32890 3.13113 -0.15 -0.27 0.38 0.39
H 2.96527 -0.45421 2.93854 0.04 0.42 0.79 0.25
H 3.76637 2.16326 2.15201 0.31 -0.24 0.01 0.25
C -5.50333 -1.74995 1.41549 0.49 -0.81 0.28 -1.36
C -4.13362 -1.08721 1.64421 -1.84 -0.22 -0.23 0.05
O -3.15364 -2.04620 1.83819 0.54 -0.15 1.15 -0.25
H -6.34058 -1.11081 1.69588 -0.02 0.07 -0.51 0.40
H -5.54136 -2.62188 2.06847 -0.04 0.06 0.40 0.34
H -5.56132 -2.21956 0.43355 -0.42 0.59 -0.26 0.23
H -4.28156 -0.53103 2.56988 0.65 0.44 -0.14 0.44
=====
No short-term impact?
However, many add, Western sources of cash are no longer the only show in town, and that Russia may turn to capital markets in Asia and the Persian Gulf.
"Russia has no short-term shortage of capital. It sits on big liquidity cushions," such as nearly half-a-trillion dollars in foreign reserves, and has vast reserves of natural resources, says Vladimir Osakovsky, a macroeconomist with the Bank of America-Merill Lynch in Moscow.
"In the longer term, there are alternative markets where capital can be raised. But Western sanctions will increase the difficulties, and hence the costs of doing so," he adds. "It will tell on long-range growth prospects."
Russian economists also say the government, which has maintained a balanced budget for many years, may step in by loosening its fiscal policies and introducing stimulus programs to keep Russians employed, and encourage more domestic business growth.
"I think we will see more policies that increase state investment, especially in infrastructure. It means that we'll run a budget deficit, but that's not necessarily tragic," says Alexei Vedev, an economist with the liberal Gaidar Institute in Moscow.
The other major way the sanctions will bite is by denying Russia access to sensitive and dual-use Western technologies, which are important for Arctic oil-and-gas development and big infrastructure projects planned by the Russian government.
"Russia needs technology transfer, and this means from Western countries mainly," say Mr. Osakovsky. "There's no short-term impact. In the longer term it can determine growth, or no growth for Russia. But for now, our problems look quite manageable."
'Not worried'
Predictions of Mr. Putin's political demise may also be premature, experts say.
So far, the Russian public has barely noticed the sanctions threat. In early March, when sanctions were first imposed over Russia's annexation of Crimea, more than half of Russians admitted to being worried about it, while 40 percent said they weren't, says Alexei Grazhdankin, deputy director of the Levada Center in Moscow, Russia's only independent polling agency. By July, only 36 percent said they were worried, while 61 percent said they weren't.
"It seems that the development of events actually calmed people down. So far, the majority have only heard about sanctions from the media, which tends to take the optimistic line that it will only strengthen us," says Mr. Grazhdankin. "Still, a clear majority says that they are not worried."
Russian elites, who've grown used to doing business and parking their assets in the West, are agitated, say experts. But most may see little alternative to rallying around the Kremlin amid a wave of public patriotism.
"In some way the sanctions may play into Putin's hands, by forcing the richest Russians to bring their money home and show solidarity, or else lose their political influence and economic monopolies inside Russia," says Nikolai Petrov, a professor at the Higher School of Economics in Moscow.
But he adds that the vast ranks of the middle bureaucracy, who actually run Russia and have been pampered by Putin in recent years, are already being constrained by disciplinary measures – including travel bans imposed by the Kremlin on huge numbers of police and security personnel.
"Many mid-level officials have grown used to a certain lifestyle, and the Kremlin's preemptive measures aimed at insulating them from Western exposure are already crimping those lifestyles," he says. "It's a matter of having gotten used to vacations in Europe, sending their kids to school abroad, maybe buying a holiday property somewhere, and having it taken away."
Still, any serious rift in the upper ranks around Putin is hard to see at the moment.
"The population is being consolidated by these events," says Valery Mironov, deputy director of the Center for Development at Moscow's Higher School of Economics. "Russians always seem unite and work together in the face of a foreign threat. It's like we always have to be struggling against somebody to get things done."